#BAZUndergroundUpdates LXXXI

4 min read

The cold outside is starting to really bite to the core, or perhaps we are simply not ready for it just yet. No cold could ever slow down our writers Julia Katrin and Tom Boatman, who are of course yet again back at it with a brand-new installment of The Underground Updates!

So, let’s see what’s out there…

BEYOND HEVETE Last Thursday Immortal Frost Productions premiered the official video for the track Mass of Obedience by the German black meal group Beyond Helvete. So while we wait for the single to be released digitally on the 29th of October, we suggest you head over here to check out the banging video and track, and of course head over here to place your order!

UNHOLY SACRAMENT VOL. I If you find yourself in the Haarlem area in The Netherlands, you might want to check out the upcoming event Unholy Sacrament Vol. I, which will take place on the 26th of November at Patronaat music hall. The lineup includes Dödsrit, The Secret, Verwoed and Faceless Entity, but keep in mind that this will for example be Dödsrit´s only show for 2021, so if you are seeking to see them this will be your chance. Tickets are available through Patronaat Haarlem.

WEIRD TALES Having just released a new music video ZZ, we do hope that you are subscribing to Weird Tales´ YouTube channel because this one is too good to have pass by without hearing. Being an unusual one in terms of composition, transition and flow, we will let you decide for yourself if the number of ideas it includes are successfully stitched together by heading over here and giving it a go!

HIGH DESERT QUEEN If some earth quaking heavy sludge rock/metal a la Queens of the Stone Age or Mastodon is up your street, then Ripple Music have something for you in the shape of Secrets of the Black Man, the newly released album by High Desert Queen. Vinyl editions are selling fast, but you can pick up copies (also on CD) here as well as getting a listen to the album in full.

BISHOP It’s not the easiest to say right now who Bishop is, but one thing is clear, France’s No Good To Anyone has just put out their self-titled album and it is an immediate, thundering gut punch of gigantic sludge metal. Soon to be made available on vinyl and cassette through two other label collaborations, you can get all links here, listen to the album and buy a copy for whatever you would like to pay for it. If you like apocalyptic, grinding sludge metal you need to get this in your life.

Misplaced molecular data >
........
55
Properties=species:S:1:pos:R:3 method="wB97M-V/def2-TZVPD" e_homo_ev=-9.12 e_tot_ha=-2048.5952 e_lumo_ev=-0.644 homo_lumo_gap_ev=8.5 relative_energy_ev=9.0595
C 2.033 0.291 0.593
S 1.538 2.137 0.620
O 2.575 2.904 1.494
O 1.569 2.738 -0.819
P -0.466 2.147 1.482
C -1.608 1.125 0.279
O -1.498 1.193 -1.052
O -2.629 0.262 0.942
H 1.133 -0.406 0.924
H 2.905 0.171 1.364
H 2.320 0.035 -0.514
H -0.361 1.316 2.680
H -0.968 3.473 1.737
C 5.930 -0.179 3.645
C 4.901 -1.085 2.988
N 4.047 -1.837 2.444
H 6.889 -0.268 3.127
H 5.594 0.861 3.598
H 6.063 -0.464 4.692
C -5.616 0.847 -0.451
C -7.087 1.073 -0.139
N -8.306 1.261 0.120
H -5.133 1.800 -0.681
H -5.118 0.394 0.410
H -5.516 0.180 -1.312
C 6.353 -3.541 -0.895
C 5.895 -2.092 -0.930
N 5.515 -0.890 -0.958
H 7.183 -3.686 -1.592
H 6.685 -3.803 0.113
H 5.529 -4.199 -1.181
C 7.036 -7.271 -3.554
C 7.202 -6.642 -2.180
N 7.340 -6.121 -1.040
H 7.299 -8.331 -3.513
H 5.998 -7.174 -3.885
H 7.688 -6.769 -4.275
C -6.336 2.886 3.190
C -4.819 2.803 3.128
N -3.561 2.734 3.075
H -6.746 1.938 3.549
H -6.637 3.686 3.872
H -6.739 3.095 2.196
C -1.453 6.106 -1.185
C -1.892 5.891 0.254
N -2.255 5.713 1.449
H -1.118 7.138 -1.323
H -0.631 5.429 -1.429
H -2.289 5.910 -1.862
C -6.636 -2.596 -3.091
C -5.978 -1.261 -3.400
N -5.432 -0.153 -3.656
H -6.544 -3.264 -3.952
H -6.152 -3.059 -2.228
H -7.696 -2.446 -2.868
........
Back to the text >

PYEWACKET As the nights are getting longer and bleaker what better moment to freak yourself out with something ghoulish. The UK’s dark ambient musical project Pyewacket has created a sonic interpretation of two nights in an infamously haunted hostel. You can pick up a digital copy here from Trapanation Records. Turn the lights off, sit back and prime yourself for some bad dreams.

SNAFU Hardcore thrash? Something like it. It’s fast and agro and wild in any case and what else would you expect from Housecore Records the home of other such great extreme metal like King Parrot. Exile//Banishment appears to be the debut by Detroit’s Snafu and will be released on October 15th. In the meantime you can pre-order the album on limited vinyl here and listen to the preview tracks.

Having to pay gigantic sums for international postage is a real gear grinder. While it’s our default setting to link bandcamp pages in the case of new and pre-releases, we thought it would be helpful to add some online stores that might provide a useful alternative. So if you see a release you fancy, but it’s being sold in a far off land and you don’t want to fork out on exorbitant shipping, see if any of the links below can remedy the situation.

Dark Essence (Norway) Dark Essence (US)

Deathwish (EU) Deathwish (US)

eOne Heavy (EU) eOne Heavy (UK) eOne Heavy (US)

Ipecac (EU) Ipecac (US)

Napalm Records (Germany)

Prophecy Productions (Germany) Prophecy Productions (US)

Rough Trade (UK) Rough Trade (US)

Season of Mist (EU) Season of Mist (US)

Southern Lord (EU) Southern Lord (US)

Throne Records (World)

Transcending Obscurity (EU) Transcending Obscurity (US)

By now most are probably anticipating the first snow of the winter season to fall, and alongside upcoming Halloween at the end of the month, and everything else that will be released this week or the coming one we do believe that we will get through these times together by taking advantage of it all, keep us occupied, happy and above all else; satanized!

By Julia Katrin and Tom Boatman

**Please support the underground! It’s vital to the future of our genre.**